View Full Version : Living with Anxiety

26-02-17, 07:25
Hello everyone! I'm happy to have found a forum where I can openly discuss about my anxiety. I'm a 29 year old lady who has been living with anxiety since I moved to this new country from my home country. I'm not exactly sure how it all started but after a few months of me moving here I started having anxiety/panic attacks.

I was a happy lady before all of this, a lady who loves traveling, going to the beach, going out with friends but all of these has changed. Right now I can barely leave my house and my work is getting affected. Whenever I ride any kind of transportation whether public or private I have panic attacks. I feel like I'm going to pass out, my heart beats so fast, I have a hard time breathing and I feel like crying. My anxiety stemmed from me having Irritable Bowel Syndrome which I also had when I moved to the place where I'm at right now.

The reason why I have a panic attack when I'm traveling is because I have a phobia of crapping my pants and not being able to go to the bathroom. When I see traffic or when I feel like there's no bathroom nearby this is when my panic attack starts and it keeps building up and building up until I feel like I have to escape. One time while in transit and I felt my stomach was acting up I felt like jumping out of the car just to relieve myself.

However if the public transport or the vehicle that I ride in has a washroom I don't have a panic attack. When I take the train/metro and I know that the next stop is only 1 minute away I don't have panic attack because I know if ever I do feel like relieving myself I can hold it in for 1 minute.

~~~
Material: CrFeP2
Method: DFT, PBE
State: relaxed

The structure in CIF format:
```
data_CrFeP2
_cell_length_a 3.068
_cell_length_b 5.897
_cell_length_c 5.273
_cell_angle_alpha 90.00
_cell_angle_beta 90.00
_cell_angle_gamma 90.00
_symmetry_space_group_name_H-M 'P m c 21'
_symmetry_Int_Tables_number 26
loop_
_symmetry_equiv_pos_as_xyz
'x,y,z'
'-x,-y,z+1/2'
'-x,y,z'
'x,-y,z+1/2'
loop_
_atom_site_label
_atom_site_fract_x
_atom_site_fract_y
_atom_site_fract_z
Cr1 0.000 0.051 0.000
Fe1 0.500 0.445 0.011
P1 0.000 0.323 0.316
P2 0.500 0.190 0.694
```

- calculated total energy (eV/atom) = -7.79
- crystal system = orthorhombic
- magnetization (μB per formula unit) = 2.00

Material: CrFeS4
Method: DFT, PBE
State: relaxed

The structure in CIF format:
```
data_CrFeS4
_cell_length_a 6.747
_cell_length_b 6.842
_cell_length_c 9.569
_cell_angle_alpha 90.00
_cell_angle_beta 90.00
_cell_angle_gamma 90.00
_symmetry_space_group_name_H-M 'I m m a'
_symmetry_Int_Tables_number 74
_symmetry_space_group_name_Hall '-I 2b 2'
loop_
_atom_site_label
_atom_site_fract_x
_atom_site_fract_y
_atom_site_fract_z
Cr1 0.000 0.000 0.000
Fe1 0.000 0.250 0.374
S1 0.000 0.014 0.243
S2 0.241 0.250 0.995
```

- corrected total energy (MP2020 scheme) (eV/atom) = -6.33
- crystal system = orthorhombic
- magnetization (μB per formula unit) = 2.98

Material: CrFe3Sb4
Method: DFT, PBE
State: relaxed

The structure in CIF format:
```
data_CrFe3Sb4
_cell_length_a 3.9901
_cell_length_b 3.9901
_cell_length_c 10.4040
_cell_angle_alpha 90.00
_cell_angle_beta 90.00
_cell_angle_gamma 120.00
_symmetry_space_group_name_H-M 'P -3 m 1'
_symmetry_Int_Tables_number 164
_symmetry_space_group_name_Hall '-P 3 2"'
loop_
_atom_site_label
_atom_site_fract_x
_atom_site_fract_y
_atom_site_fract_z
Cr1 0.0000 0.0000 0.0000
Fe1 0.0000 0.0000 0.2604
Fe2 0.0000 0.0000 0.5000
Sb1 0.3333 0.6667 0.3759
Sb2 0.3333 0.6667 0.8598
```

- corrected total energy (MP2020 scheme) (eV/atom) = -6.49
- crystal system = trigonal
- magnetization (μB per formula unit) = 5.30

What is the magnetization in the second record?
2.98 μB per formula unit

----------

Entry 1:
Here is a relaxed Ho5NiSb2 crystal from the Materials Project database. Energies are from r2SCAN.

a b c (Å): 7.9078 8.6924 12.0838
angles (deg): 90.00 90.00 90.00
Atoms (fractional coordinates):
Ho 0.3214 0.5380 0.4332
Ho 0.8720 0.2500 0.8080
Ho 0.1786 0.5380 0.9332
Ho 0.3214 0.9620 0.4332
Ho 0.1280 0.7500 0.1920
Ho 0.8410 0.7500 0.7953
Ho 0.3720 0.7500 0.6920
Ho 0.9551 0.7500 0.5008
Ho 0.4551 0.2500 0.9992
Ho 0.6786 0.4620 0.5668
Ho 0.8214 0.0380 0.0668
Ho 0.6590 0.7500 0.2953
Ho 0.5449 0.7500 0.0008
Ho 0.0449 0.2500 0.4992
Ho 0.6786 0.0380 0.5668
Ho 0.1786 0.9620 0.9332
Ho 0.6280 0.2500 0.3080
Ho 0.3410 0.2500 0.7047
Ho 0.8214 0.4620 0.0668
Ho 0.1590 0.2500 0.2047
Ni 0.9260 0.7500 0.0112
Ni 0.5740 0.7500 0.5112
Ni 0.0740 0.2500 0.9888
Ni 0.4260 0.2500 0.4888
Sb 0.9334 0.4926 0.3266
Sb 0.4334 0.5074 0.1734
Sb 0.4334 0.9926 0.1734
Sb 0.5666 0.4926 0.8266
~~~
So much for the data records:

Interestingly when I went home to my home country I didn't have any panic attack because i know that if ever i do feel like relieving myself I can always get off the road and walk to the nearest washroom. Or I can knock in people's houses and use their washroom. If only I can do that here I wouldn't have had a panic attack.

I really need help on how to deal with this. I can't live my life, if I can still call this life, constantly saying NO to people inviting me out for fear that I will have an IBS attack which causes my anxiety attack.

Please help. BTW I always have my Imodium in my bag and when I feel like I'm starting to have a panic attack I take it. I know it's bad to take this all the time but it somehow helps depending on the severity of my attack that day.:weep::weep::weep:

26-02-17, 07:45
Hiya Quinz1986 and welcome to NMP :welcome:

Why not take a look at our articles on our home page, they contain a wealth of information and are a great starting place for your time on the forum.

I hope you find the as site helpful and informative as I have and that you get the help and support you need here and hope that you meet a few friends along the way :yesyes:

26-02-17, 11:50
Thank you :):):)

28-02-17, 14:07
Good morning Quinz1986 I happy to see you found this wonderful site where, like myself, you can be open and honest about what you are feeling. Just as venusbluejeans said there are many helps here for you to explore. Reading your post I totally understand the situation you are in. Like you I suffer from panic and anxiety and have for a very long time. While I have my good days and bad days, understanding what it is you are dealing with is the first step in learning to overcome panic/anxiety.

First off don't feel bad about the bathroom issue, in fact that's one of the many things my panic likes to throw in my face when traveling. Often I'll wait around the house to make sure I go to the bathroom before I leave. This at times has caused me to either be late for appointments or cancel them all together. I often say my digestive tract has a mind of it's own, but in reality it's the anxiety and stress that are causing the situation.

The best thing I can tell you Quinz1986 is, understand that most of the time panic is an unfounded reaction to a given situation. In other words when you feel a panic attack coming on ask yourself, "Is that attack justified"? Or "Am I making a normal situation worse"? By not fighting the feeling of panic and accepting that it is happening, you usually end up allowing it to ease up much more quickly.

Quinz1986, best to you on this journey. Keep using the forum to express your feelings and remember you are not alone.

28-02-17, 14:27
Hello there! I thought I would check in and say hi, and welcome. I am sure you will find a wealth of information here and lots of support from the others, many of whom have similar experiences to you.

You do mention that all of this has started since your relocation to a new country. I think this sounds very understandable. It can be hugely stressful moving somewhere new and finding your feet - as well as exciting! So, if I were you, I would be kind to yourself and not feel bad about feeling anxious - it's just your body making an adjustment.

Someone pasted crystal structures at this point:
~~~
# 1
The following is a DFT calculation (PBE) of a relaxed LiTaGeO5 crystal. Values from VASP.

## Properties
* energy relative to the lowest polymorph listed for this composition: 0.003 eV/atom

```
&SYSTEM
  ibrav = 0, nat = 16, ntyp = 4
/
ATOMIC_SPECIES
Li 6.94 Li.upf
Ta 180.95 Ta.upf
Ge 72.64 Ge.upf
O 16.00 O.upf
CELL_PARAMETERS angstrom
3.8359 -4.1106 0.0000
3.8359 4.1106 0.0000
-3.7223 0.0000 6.5897
ATOMIC_POSITIONS angstrom
Li 1.0442 2.5355 4.9422
Li 2.9053 -2.5355 1.6474
Ta 3.8359 0.0000 0.0000
Ta 1.9748 0.0000 3.2948
Ge 2.9053 2.9557 1.6474
Ge 1.0442 -2.9557 4.9422
O 0.2201 0.0131 2.3079
O -1.6411 -0.0131 5.6027
O 2.1821 1.9440 2.9034
O 3.6286 1.9440 0.3914
O 1.0442 0.5467 4.9422
O 2.9053 -0.5467 1.6474
O 0.3209 -1.9440 6.1982
O 1.7675 -1.9440 3.6862
O 5.5906 0.0131 0.9870
O 3.7294 -0.0131 4.2818
```

# 2
The following is a DFT calculation (PBE) of a relaxed NbCr3 crystal. Values from VASP.

```
&SYSTEM
  ibrav = 0, nat = 4, ntyp = 2
/
ATOMIC_SPECIES
Nb 92.91 Nb.upf
Cr 52.00 Cr.upf
CELL_PARAMETERS angstrom
3.8070 0.0000 0.0000
0.0000 3.8070 0.0000
0.0000 0.0000 3.8070
ATOMIC_POSITIONS angstrom
Nb 0.0000 0.0000 0.0000
Cr 0.0000 1.9035 1.9035
Cr 1.9035 0.0000 1.9035
Cr 1.9035 1.9035 0.0000
```

| no. | raw total energy (eV/atom) |
| --- | --- |
| 1 | -7.719 |
| 2 | -9.244 |
~~~

I wonder whether finding a counsellor to talk to might help?